File =
+++
The following is a simulated powder diffractogram of BaCaFe4O7. It was derived from the GGA+U geometry in Alexandria, using Cu Kα, 1.54184 Å.
Neutral-atom scattering factors, no anomalous dispersion.

Crystal structure
Cell: 6.4419 6.4419 10.5021 Å, 90.09 90.09 118.44°
Positions (direct):
Ba  0.1683  0.8317  0.5000
Ba  0.8317  0.1683  0.0000
Ca  0.1674  0.8416  0.8886
Ca  0.8416  0.1674  0.3886
Fe  0.1715  0.3607  0.6947
Fe  0.3077  0.6507  0.1995
Fe  0.3607  0.1715  0.1947
Fe  0.5024  0.5121  0.9557
Fe  0.5121  0.5024  0.4557
Fe  0.6507  0.3077  0.6995
Fe  0.7113  0.8575  0.6905
Fe  0.8575  0.7113  0.1905
O  0.0111  0.5400  0.2808
O  0.0409  0.0506  0.7551
O  0.0506  0.0409  0.2551
O  0.1799  0.3950  0.5167
O  0.2476  0.5877  0.0233
O  0.3950  0.1799  0.0167
O  0.4996  0.9791  0.2497
O  0.5010  0.5007  0.2525
O  0.5007  0.5010  0.7525
O  0.5400  0.0111  0.7808
O  0.5877  0.2476  0.5233
O  0.7541  0.8202  0.5063
O  0.8202  0.7541  0.0063
O  0.9791  0.4996  0.7497

Main lines, by angle (2θ = 5–70°):
d (Å)	2θ/deg	I/Imax
4.985	17.8	30
3.220	27.7	32
2.978	30.0	63
2.959	30.2	32
2.791	32.1	48
2.745	32.6	100
2.735	32.7	85
2.676	33.5	44
2.626	34.2	39
1.610	57.2	30

---

The following is a simulated powder diffractogram of Ba3CaFe2O9. It was derived from the GGA+U geometry in Alexandria, using Cu Kα, 1.54184 Å.
Neutral-atom scattering factors, no anomalous dispersion.

Crystal structure
Cell: 5.8271 5.8271 7.2154 Å, 90.00 90.00 120.00°
Positions (direct):
Ba  0.0000  0.0000  0.0000
Ba  0.3333  0.6667  0.6756
Ba  0.6667  0.3333  0.3244
Ca  0.0000  0.0000  0.5000
Fe  0.3333  0.6667  0.1627
Fe  0.6667  0.3333  0.8373
O  0.0000  0.5000  0.0000
O  0.1792  0.3583  0.3100
O  0.1792  0.8208  0.3100
O  0.3583  0.1792  0.6901
O  0.5000  0.0000  0.0000
O  0.5000  0.5000  0.0000
O  0.6417  0.8208  0.3100
O  0.8208  0.1792  0.6901
O  0.8208  0.6417  0.6901

Main lines, by angle (2θ = 5–70°):
d (Å)	2θ/deg	I/Imax
4.135	21.5	28
2.935	30.5	100
2.914	30.7	98
2.382	37.8	31
2.068	43.8	66
1.699	54.0	19
1.686	54.4	37
1.682	54.6	19
1.467	63.4	20
1.457	63.9	20

---

The following is a simulated powder diffractogram of Ba2CaY2Fe4O10. It was derived from the GGA+U geometry in Alexandria, using Cu Kα, 1.54184 Å.
Neutral-atom scattering factors, no anomalous dispersion.

Crystal structure
Cell: 8.2546 3.7456 9.8530 Å, 90.00 97.64 90.00°
Positions (direct):
Ba  0.0000  0.0000  0.0000
Ba  0.4003  0.0000  0.1802
Ca  0.5726  0.0000  0.8665
Y  0.4767  0.0000  0.5386
Y  0.9554  0.0000  0.5529
Fe  0.1652  0.5000  0.3658
Fe  0.2600  0.5000  0.7944
Fe  0.6954  0.5000  0.3817
Fe  0.7736  0.5000  0.7485
O  0.0219  0.5000  0.7304
O  0.1657  0.5000  0.1644
O  0.2044  0.0000  0.4746
O  0.3063  0.0000  0.9029
O  0.4571  0.5000  0.3863
O  0.4678  0.5000  0.7004
O  0.6842  0.0000  0.3959
O  0.7299  0.0000  0.6807
O  0.7435  0.5000  0.9481
O  0.9293  0.5000  0.4269

Main lines, by angle (2θ = 5–70°):
d (Å)	2θ/deg	I/Imax
6.727	13.2	73
4.462	19.9	37
2.972	30.1	93
2.949	30.3	79
2.762	32.4	100
2.728	32.8	64
2.457	36.6	57
2.203	41.0	33
1.873	48.6	45
1.625	56.7	35

---

The following is a simulated powder diffractogram of Ba2CaY2Fe4O10. It was derived from the GGA+U geometry in Alexandria, using Cu Kα, 1.54184 Å.
Neutral-atom scattering factors, no anomalous dispersion.

Crystal structure
Cell: 3.8565 8.0549 10.3214 Å, 90.00 90.00 90.00°
Positions (direct):
Ba  0.0000  0.2359  0.0000
Ba  0.0000  0.7641  0.0000
Ca  0.0000  0.5000  0.2881
Y  0.0000  0.2233  0.6137
Y  0.0000  0.7767  0.6137
Fe  0.5000  0.0000  0.4332
Fe  0.5000  0.0000  0.7967
Fe  0.5000  0.5000  0.5064
Fe  0.5000  0.5000  0.7982
O  0.0000  0.0000  0.4803
O  0.0000  0.0000  0.7586
O  0.0000  0.5000  0.5381
O  0.0000  0.5000  0.8592
O  0.5000  0.0000  0.0077
O  0.5000  0.2542  0.4686
O  0.5000  0.2572  0.7496
O  0.5000  0.5000  0.1727
O  0.5000  0.7428  0.7496
O  0.5000  0.7458  0.4686

Main lines, by angle (2θ = 5–70°):
d (Å)	2θ/deg	I/Imax
10.321	8.6	100
5.161	17.2	33
3.175	28.1	47
3.089	28.9	33
2.785	32.1	53
+++

Job =
Could you say how many lines of the entries further above hold the word "Cu", as a bare number?

Outcome =
4